
Dieselgate Leads to 5,000 Premature Deaths in Europe

-- Records of crystals that have nothing to do with the article --
┌──
No. 1
Dy12Mg2Al5: theoretical XRD peak list (a wavelength of 1.5418 Å), based on DFT lattice parameters and positions (GGA-PBE).
Lines closer than 0.1° are merged.

Structural model:
```
data_Dy12Mg2Al5
_chemical_formula_sum 'Dy24 Mg4 Al10'
_cell_length_a 12.3896
_cell_length_b 10.6072
_cell_length_c 8.2182
_cell_angle_alpha 90.00
_cell_angle_beta 106.97
_cell_angle_gamma 90.00
_space_group_name_H-M_alt 'C 1 2/m 1'
_space_group_IT_number 12
_space_group_name_Hall '-C 2y'
loop_
_atom_site_label
_atom_site_type_symbol
_atom_site_fract_x
_atom_site_fract_y
_atom_site_fract_z
Dy1 Dy 0.0994 0.0000 0.1751
Dy2 Dy 0.1095 0.2701 0.4077
Dy3 Dy 0.1131 0.5000 0.7395
Dy4 Dy 0.1750 0.1570 0.8234
Mg1 Mg 0.0000 0.2835 0.0000
Al1 Al 0.0000 0.0000 0.5000
Al2 Al 0.1100 0.5000 0.1528
Al3 Al 0.2325 0.0000 0.5399
```

Most intense lines, 10° ≤ 2θ ≤ 90°, in order of rising 2θ:
- 2θ = 27.79°, d = 3.210 Å, I 54.3
- 2θ = 28.26°, d = 3.158 Å, I 45.0
- 2θ = 28.75°, d = 3.105 Å, I 50.3
- 2θ = 28.94°, d = 3.085 Å, I 47.5
- 2θ = 29.35°, d = 3.043 Å, I 51.2
- 2θ = 29.57°, d = 3.021 Å, I 99.7
- 2θ = 30.17°, d = 2.963 Å, I 64.4
- 2θ = 33.10°, d = 2.706 Å, I 55.7
- 2θ = 33.45°, d = 2.679 Å, I 42.5
- 2θ = 33.61°, d = 2.667 Å, I 52.5
- 2θ = 33.74°, d = 2.656 Å, I 72.7
- 2θ = 35.20°, d = 2.550 Å, I 100.0



No. 2
Dy3MgAl3: theoretical XRD peak list (a wavelength of 1.5418 Å), based on DFT lattice parameters and positions (GGA-PBE).
Lines closer than 0.1° are merged.

Structural model:
```
data_Dy3MgAl3
_chemical_formula_sum 'Dy12 Mg4 Al12'
_cell_length_a 9.9348
_cell_length_b 9.8843
_cell_length_c 7.1275
_cell_angle_alpha 90.00
_cell_angle_beta 92.38
_cell_angle_gamma 90.00
_space_group_name_H-M_alt 'C 1 2/m 1'
_space_group_IT_number 12
_space_group_name_Hall '-C 2y'
loop_
_atom_site_label
_atom_site_type_symbol
_atom_site_fract_x
_atom_site_fract_y
_atom_site_fract_z
Dy1 Dy 0.0459 0.0000 0.2633
Dy2 Dy 0.2460 0.2104 0.7536
Mg1 Mg 0.1262 0.5000 0.8983
Al1 Al 0.0000 0.2487 0.0000
Al2 Al 0.0000 0.2861 0.5000
Al3 Al 0.1818 0.5000 0.5207
```

Most intense lines, 10° ≤ 2θ ≤ 90°, in order of rising 2θ:
- 2θ = 12.64°, d = 7.004 Å, I 57.9
- 2θ = 17.90°, d = 4.955 Å, I 35.3
- 2θ = 25.01°, d = 3.561 Å, I 66.2
- 2θ = 25.43°, d = 3.502 Å, I 100.0
- 2θ = 28.47°, d = 3.135 Å, I 43.4
- 2θ = 31.09°, d = 2.877 Å, I 30.0
- 2θ = 31.39°, d = 2.849 Å, I 48.0
- 2θ = 31.58°, d = 2.833 Å, I 40.7
- 2θ = 35.42°, d = 2.534 Å, I 95.4
- 2θ = 36.36°, d = 2.471 Å, I 31.1
- 2θ = 36.51°, d = 2.461 Å, I 66.6
- 2θ = 56.00°, d = 1.642 Å, I 31.1



What did the second record say?
Dy3MgAl3: theoretical XRD peak list (a wavelength of 1.5418 Å), based on DFT lattice parameters and positions (GGA-PBE).
Lines closer than 0.1° are merged.

Structural model:
```
data_Dy3MgAl3
_chemical_formula_sum 'Dy12 Mg4 Al12'
_cell_length_a 9.9348
_cell_length_b 9.8843
_cell_length_c 7.1275
_cell_angle_alpha 90.00
_cell_angle_beta 92.38
_cell_angle_gamma 90.00
_space_group_name_H-M_alt 'C 1 2/m 1'
_space_group_IT_number 12
└──
-- End of the records of crystals --

by Hannah Joy on Sep 19 2017 11:04 AM

Premature deaths are increasing in the European countries due to the NOx emissions from the diesel cars, which are twice higher on the road than in certification tests.

Dieselgate Leads to 5,000 Premature Deaths in Europe
Diesel cars emit excess NOx emissions, which are leading to about 5,000 premature deaths every year in all of the European countries, reveals a new study.
Since the late 1990s the share of diesel cars in the EU has risen to around 50% in the fleet, with important variations between countries. There are now more than 100 million diesel cars running in Europe, twice as many as in the rest of the world together. Their NOx emissions are however 4 to 7 times higher on the road than in official certification tests.

Modern engine controls have been optimized by manufacturers for the specific laboratory testing but underperform in real-driving. In this new study we calculate the premature deaths from these excess NOx emissions for the population in all European countries.

Health effect estimates

About 425,000 premature deaths annually are associated with the current levels of air pollution in EU28, Norway and Switzerland. More than 90% of these premature deaths are caused by respiratory and cardiovascular diseases related to exposure to fine particulate matter.

NOx is a key precursor to this fine particulate matter. This new study estimates that roughly 10,000 premature deaths annually can be attributed to NOx emissions from diesel cars, vans and light commercial vehicles.

About half around 5,000 premature deaths annually are due to NOx emissions being much higher than limit values in real-world driving. Petrol cars have much lower emissions.

"If diesel car emissions were as low as petrol car emissions, three quarters or about 7,500 premature deaths could have been avoided" says Jens Borken-Kleefeld, transportation expert at the International Institute for Applied Systems Analysis (IIASA).

The countries with the highest number of premature deaths attributable to fine particles from diesel cars, vans and light commercial vehicles are Italy, Germany and France. That is because of both their large populations and a high share of diesel cars. However, the risk per capita is almost twice as high in Italy as in France.

"This reflects the very adverse pollution situation, particularly in highly populated Northern Italy", says research leader Jan Eiof Jonson from the Norwegian Meteorological Institute.

The lowest risks are in Norway, Finland and Cyprus where risks are at least fourteen times lower than the EU28+ average.

The study was conducted by the Norwegian Meteorological Institute in cooperation with the International Institute for Applied Systems Analysis (IIASA) in Austria, and the Dept. Space, Earth & Environment at Chalmers University of Technology in Sweden.

In this study the Norwegian Meteorological Institute has calculated the pollutant concentrations and depositions based on NOx emissions from LDDVs from different countries and model years provided by IIASA. IIASA has also made the health effect calculations.










